Basic and Appendicular Osteology (L5) Flashcards
Discuss bone tissue including its organic and inorganic components, its three kinds of cells, four kinds of lamellae, and histological architecture.
Osteoid: ORGANIC part of the matrix, combination of collagenous fibers and ground substance Hydroxyapatite: INORGANIC mineral portion of bone containing forms of calcium phosphate Osteoblasts: build Osteoclasts: destroy Osteocytes: stuck Osteonal (concentric) lamellae Interstitial lamellae External circumferential lamellae Internal circumferential lamellae
Two types of bone tissue:
Compact (cortical) bone - “dense” bone, solid forms majority of the substance of most bones
Spongy (trabecular) bone - “cancellous” bone, lends strength without excessive bulk
Why is interstitial lamellae always older than adjacent concentric lamellae?
The osteoclast drills and forms new osteons on top of it.
Differentiate bone tissue from named bones by listing the tissues found in any names bone in addition to bone tissue.
Bone tissue Adipose tissue Connective tissue proper Simple squamous epithelium Nervous Tissue Bone Marrow Tissue Blood Cartilage Smooth Muscle Tissue
State the physical functions of the bones and bone tissue.
Body shape - allows permanent shape and upright posture
Protection - encasement of brain, thoracic, and pelvic organs
Locomotion - interaction with skeletal muscles to produce body movement
State the metabolic functions of the bones and bone tissue.
Hemopoiesis - formations of RBC’s and many types of WBC’s (Red bone marrow)
Fat depository - a normal metaplastic change with age (yellow bone marrow)
Calcium/phosphorus storage - within the hydroxyapatite (cortex, cortical bone)
Classify the bones of the skeleton into two groups by position and five groups by shape.
Groups by position: Appendicular Skeleton, Axial Skeleton
Here the text breaks off for data records:
- - -
[1]
This entry pairs a crystal structure of Sr2CaSi with its simulated X-ray powder pattern. Radiation: Cu Kα (λ = 1.5418 Å). Structure: a cell relaxed with PBE.

```
8
Lattice="5.1827 0.0000 0.0000 0.0000 5.1827 0.0000 0.0000 0.0000 9.7716" Properties=species:S:1:pos:R:3 pbc="T T T"
Sr 0.0000 2.5914 2.4429
Sr 0.0000 2.5914 7.3287
Sr 2.5914 0.0000 2.4429
Sr 2.5914 0.0000 7.3287
Ca 0.0000 0.0000 0.0000
Ca 2.5914 2.5914 4.8858
Si 0.0000 0.0000 4.8858
Si 2.5914 2.5914 0.0000
```

Main lines, in order of falling intensity (5 to 70 degrees two-theta):
- 2θ 30.49, I 100
- 2θ 34.61, I 35
- 2θ 59.49, I 28
- 2θ 51.40, I 22
- 2θ 24.29, I 15
- 2θ 36.79, I 15
- 2θ 18.16, I 15
- 2θ 49.76, I 12
- 2θ 62.40, I 12
- 2θ 63.46, I 12

[2]
This entry pairs a crystal structure of CaTbSi3 with its simulated X-ray powder pattern. Radiation: Cu Kα (λ = 1.5418 Å). Structure: a cell relaxed with PBE.

```
10
Lattice="2.1049 -12.5023 0.0000 2.1049 12.5023 0.0000 0.0000 0.0000 3.9556" Properties=species:S:1:pos:R:3 pbc="T T T"
Ca 2.1049 7.4291 2.9667
Ca 2.1049 -7.4291 0.9889
Tb 2.1049 10.7797 0.9889
Tb 2.1049 -10.7797 2.9667
Si 2.1049 4.2860 2.9667
Si 2.1049 2.9291 0.9889
Si 2.1049 0.6023 0.9889
Si 2.1049 -0.6023 2.9667
Si 2.1049 -2.9291 2.9667
Si 2.1049 -4.2860 0.9889
```

Main lines, in order of falling intensity (5 to 70 degrees two-theta):
- 2θ 32.88, I 100
- 2θ 7.07, I 70
- 2θ 35.96, I 25
- 2θ 26.67, I 25
- 2θ 21.38, I 23
- 2θ 42.78, I 18
- 2θ 57.60, I 15
- 2θ 28.56, I 13
- 2θ 42.97, I 13
- 2θ 51.16, I 13

[3]
This entry pairs a crystal structure of Ca3Tb3Si4 with its simulated X-ray powder pattern. Radiation: Cu Kα (λ = 1.5418 Å). Structure: a cell relaxed with PBE.

```
10
Lattice="4.2679 0.0000 0.0000 0.0000 5.3367 5.4181 0.0000 -5.3367 5.4181" Properties=species:S:1:pos:R:3 pbc="T T T"
Ca 0.0000 0.0000 0.0000
Ca 2.1340 -2.6989 6.2040
Ca 2.1340 2.6989 6.2040
Tb 0.0000 -1.8863 3.5162
Tb 0.0000 1.8863 3.5162
Tb 0.0000 0.0000 7.0042
Si 2.1340 0.0000 2.3675
Si 2.1340 0.0000 4.7674
Si 2.1340 -1.2188 8.8563
Si 2.1340 1.2188 8.8563
```

Main lines, in order of falling intensity (5 to 70 degrees two-theta):
- 2θ 33.83, I 100
- 2θ 31.51, I 94
- 2θ 33.57, I 77
- 2θ 26.37, I 46
- 2θ 11.64, I 35
- 2θ 20.81, I 34
- 2θ 26.04, I 29
- 2θ 42.36, I 29
- 2θ 23.40, I 28
- 2θ 37.22, I 24

[4]
This entry pairs a crystal structure of Ca2ThSi6 with its simulated X-ray powder pattern. Radiation: Cu Kα (λ = 1.5418 Å). Structure: a cell relaxed with PBE.

```
9
Lattice="7.1385 0.0000 0.0000 -3.5692 6.1821 0.0000 0.0000 0.0000 4.1966" Properties=species:S:1:pos:R:3 pbc="T T T"
Ca 0.0000 4.1214 0.0000
Ca 3.5692 2.0607 0.0000
Th 0.0000 0.0000 0.0000
Si -1.1881 2.0579 2.0983
Si -2.3811 4.1242 2.0983
Si 2.3763 0.0000 2.0983
Si 1.1881 2.0579 2.0983
Si 4.7622 0.0000 2.0983
Si 2.3811 4.1242 2.0983
```

Main lines, in order of falling intensity (5 to 70 degrees two-theta):
- 2θ 32.94, I 100
- 2θ 14.33, I 72
- 2θ 25.66, I 38
- 2θ 43.94, I 33
- 2θ 24.95, I 31
- 2θ 63.25, I 22
- 2θ 55.99, I 21
- - -
So much for the data records:
Groups by shape: Long bones, Short bones, Flat bones, Irregular bones, Sesamoid bones
Bone shape types found in the appendicular skeleton.
Long bones, short bones, flat bones, and sesamoid bones
Bone shape types found in the axial skeleton.
Irregular bones and flat bones
What features are found in long bones ONLY?
Epiphysis and diaphysis
Label the features of a typical long bone.
epiphysis, diaphysis, periosteum, endosteum, medullary cavity, perforating fibers, nutrient foramina, nutrient canals, articular cartilage, red bone marrow, yellow bone marrow, gelatinous bone marrow, cortex (bone tissue between the endosteum and periosteum)
Name the bones of the superior limb and classify them by shape.
Clavicle and Scapula (Flat bones)
Humerus, Radius, Ulna, 5 metacarpal bones, and 14 phalanges (Long Bones)
8 carpal bones (short bones)
2 sesamoid bones (at the base of the thumb)
What is the function of the pectoral girdle?
It supports the free parts of the superior limbs and provides extensive attachment for muscles which attach the limb to the trunk.
What are the bones that form the pectoral girdle? Which ones belong to the appendicular skeleton?
- The 2 clavicles, 2 scapula, and the sternum
2. The clavicles and scapula belong to the appendicular skeleton
Define phalanx, phalanges, and digits.
Phalanx (singular form) of the bones within the digits
Phalanges - bones within the digits
Digit - everything; the bones, muscles, tissues, nerves, etc.
Explain why three phalanges comprise a digit is false but most digits contain three phalanges is true.
It is false because the first digit (thumb) only has two phalanges while most others contain three.
Name the bones of the inferior limb and classify them by shape.
Ox coxae - one flat bone
Femur bone, tibia, fibula, five metatarsal bones, and 14 phalanges - Long bones
7 Tarsal bones - short bones
3 sesamoid bones (two at the base of the big toe and the patella)
State the function of the pelvic girdle, list the bones that form it, and indicate which ones belong to the appendicular skeleton.
- It supports the free parts of the inferior limbs and is a site of origin for muscles which act on the limb.
- The bones that form it are the ossa coxae and the bony sacrum
- Ossa coxae
Differentiate the major (greater, false) pelvis from the minor (lessor, true) pelvis.
The narrow portion of the pelvic girde is called the minor (lesser or true) pelvis.
The wider flair of the bone above it which constitutes the major (greater or false) pelvis.
List the bones that fuse to form the os coxae.
Ilium, ischium, and pubis
_Attached: calculated crystals_
/*
Fe3NF9: computed powder XRD pattern (Cu Kα (weighted mean of Kα1 and Kα2)), based on a cell relaxed with PBE+U.
Intensities are scaled so that the largest is 100.

Crystal structure
```
13
Lattice="7.5621 0.0000 0.0000 -3.7810 6.5490 0.0000 0.0000 0.0000 3.9066" Properties=species:S:1:pos:R:3 pbc="T T T"
Fe -1.8905 3.2745 0.0000
Fe 3.7810 0.0000 0.0000
Fe 1.8905 3.2745 0.0000
N 0.0000 0.0000 1.9533
F -1.8905 3.2745 1.9533
F 0.0000 2.7674 0.0000
F -1.3844 5.1652 0.0000
F 2.3967 1.3837 0.0000
F 3.7810 0.0000 1.9533
F 1.8905 3.2745 1.9533
F 1.3844 5.1652 0.0000
F 5.1654 1.3837 0.0000
F 3.7810 3.7815 0.0000
```

Principal peaks in the range 2θ = 10–80°, by intensity:
two_theta  I_rel  (hkl)
27.2  100  2 0 0
13.5  85  1 0 0
22.8  64  0 0 1
48.1  35  2 2 0
26.6  25  1 0 1
54.7  24  2 0 2
46.5  22  0 0 2
23.5  22  1 1 0
56.2  20  4 0 0
69.2  20  2 2 2

----------

K4LiAu3: theoretical PXRD pattern (Cu Ka), based on DFT lattice parameters and positions (PBE).

Cell and atoms:
Lattice parameters (Å, degrees): 12.9906 12.9906 5.8817 90.00 90.00 90.00
Space group I4/mcm (No. 140)
Unique sites:
K1 0.0867 0.2229 0.0000
Li1 0.0000 0.5000 0.2500
Au1 0.0000 0.0000 0.2500
Au2 0.1293 0.3707 0.5000

Main lines, low angle first (2θ = 5–70°):
d_spacing  I_rel  (hkl)
4.133  79  2 1 1
4.108  100  3 1 0
3.072  91  3 2 1
2.905  29  4 2 0
2.801  37  1 1 2
2.548  36  5 1 0
2.232  39  5 2 1
2.180  49  4 0 2
2.121  24  3 3 2
1.558  34  7 1 2

Tm12Co2Pb5: theoretical PXRD pattern (Cu Ka), based on DFT lattice parameters and positions (PBE).

Cell and atoms:
Lattice parameters (Å, degrees): 16.8833 7.4707 9.5988 90.00 106.29 90.00
Space group C2/m (No. 12)
Unique sites:
Tm1 0.0029 0.0000 0.2307
Tm2 0.0025 0.5000 0.8328
Tm3 0.1441 0.2395 0.5700
Tm4 0.1537 0.2378 0.0807
Co1 0.0000 0.2044 0.0000
Pb1 0.0000 0.5000 0.5000
Pb2 0.1954 0.0000 0.8406
Pb3 0.2052 0.0000 0.3616

Main lines, low angle first (2θ = 5–70°):
d_spacing  I_rel  (hkl)
4.377  56  3 1 0
4.038  60  1 1 -2
2.900  100  2 2 -2
2.746  93  4 2 0
2.701  52  6 0 0
2.588  81  4 2 -2
2.400  49  2 0 -4
2.211  34  1 3 -2
1.868  32  0 4 0
1.487  27  10 2 0

----------

This entry pairs a crystal structure of Cd12Ag6Sn with its computed powder X-ray diffraction pattern. Radiation: Cu Ka. Structure: DFT lattice parameters and positions (PBE).
Peak positions follow from Bragg's law for the DFT cell and can differ from measured ones.

Top 12 peaks for 15 to 90 degrees two-theta, by angle:
- 2θ = 24.31°, intensity 14
- 2θ = 29.20°, intensity 13
- 2θ = 35.54°, intensity 100
- 2θ = 36.11°, intensity 50
- 2θ = 38.06°, intensity 88
- 2θ = 38.32°, intensity 30
- 2θ = 38.63°, intensity 15
- 2θ = 39.16°, intensity 26
- 2θ = 44.99°, intensity 17
- 2θ = 63.76°, intensity 14
- 2θ = 65.32°, intensity 11
- 2θ = 66.78°, intensity 21

Cell lengths 7.684, 7.684, 7.684 Å; angles 103.75, 103.75, 103.75 degrees
Fractional coordinates of all 19 atoms:
Cd1 0.001 0.267 0.734
Cd2 0.196 0.570 0.573
Cd3 0.266 0.999 0.733
Cd4 0.267 0.734 0.001
*/
_Back to the article_
Compare the phalanges of the foot to those of the hand and identify any given phalanx by using proximal, middle, or distal (as appropriate) and state the number or name of the digit of which it is a part.
14 phalanges form the skeleton within the toes. These resemble their counterparts in the manus with each digit having three phalanges (proximal, middle, distal) except of the big toe which lacks a middle phalanx. Each phalanx in the pes has a proximally located base and body. Distally the proximal and middle phalanges end in heads and the distal phalanges end in tuberosities.
Note which appendicular bones have “bone” in their name and which do not.
These have bone in their name:
- carpal bones
- metacarpal bones
- Femur bone
- tarsal bones
- metatarsal bones
- sesamoid bones
What is “DAMN IT”
Degenerative Anomalous Metabolic Neoplastic Infectious Traumatic
Define osteomalacia and osteoporosis.
Osteoporosis: excessive skeletal demineralization
Osteomalacia: vitamin D deficiency
What components are found in the extracellular matrix of bone tissue?
- collagenous fibers
- mineral
- ground substance
Go to pg. 122 in book. Be able to write out the bones and their numbers in both Axial and Appendicular Skeleton
pg. 122